March for Ukraine organized by Northeastern student gathers thousands

Thousands attended a march Sunday to show support for Ukraine, organized by Ukranian Northeastern student Diana Zlotnikova. Photo credit Erin Fine.

Erin Fine, news staff

Thousands attended a march Feb. 27 to show support for Ukraine, organized by Ukranian Northeastern student Diana Zlotnikova. 

The march began in the Boston Common and traveled down Newbury Street, with protestors bearing the blue and yellow of Ukraine’s flag and chanting “hands off Ukraine” and “stop the war.” A group led the march with a large heart made up of dozens of blue and yellow balloons.

Since Russia invaded Ukrainian territory  Feb. 24, over 2 million Ukrainians have fled the country. The conflict between both countries is part of the larger Russo-Ukrainian tensions since 2014. Fourth-year business administration major Zlotnikova said as the invasion approaches its second week, her morality is low.

“One of these really difficult moments for me this week is that for most people around me, for my friends who don’t have a connection with Ukraine, realizing for the rest of them life goes on,” Zlotnikova said. “It’s a hard thing to process. While my world falls apart for some reason, for them nothing has happened.”

Zlotnikova said Friday before the march she expected about 350 participants, but over 5,000 people arrived to show their support. The march lasted for two hours, ending at the Massachusetts State House.

“I really appreciate the amount of support we’re getting from around the university and our friends and people we don’t even know,” Zlotnikova said. 

While planning the march, she reached out to the Ukrainian communities at several colleges around Boston, including Northeastern, Harvard University, Boston University and Tufts University. The news of a march also spread swiftly through Ukrainian Facebook groups. Zlotnikova said the response was a widespread show of unity.

“We’re trying to stick together, to stay together,” Zlotnikova said. “We’re trying to be united. One of the main reasons [for the march is] … to show support to each other is because it’s a shared experience for everyone. Most of the people who are going to be participating in the march, they have family back in Ukraine, friends back in Ukraine.”

While Russia continues its military invasion of Ukraine, marchers with ties to Russia disagreed with the actions of their homeland. Many Russians and Ukrainians alike have loved ones in the country that they are now at war with.

“It’s painful, and my husband is from Ukraine and I’m from Russia,” said Katya Brezgunova, a writer and co-founder of TurnPark Art Space, who attended the march. “None of my friends wanted this war, and it’s all because of one crazy dictator.”

~~~
YO2 | PBE | optimized geometry

Computed properties:
SG: P2_1/m
Total energy after the MP2020 corrections: -8.581 eV per atom

Lattice parameters (Å, degrees): 3.6665 4.2254 6.2209 107.33 90.00 90.00
Positions (direct):
Y  0.2500  0.1714  0.8146
Y  0.7500  0.8286  0.1854
O  0.7500  0.1814  0.5528
O  0.2500  0.7335  0.9539
O  0.7500  0.2665  0.0461
O  0.2500  0.8186  0.4472

---

YO2 | PBE | optimized geometry

Computed properties:
SG: C2/c
Spin magnetization: 1.0 μB/f.u.
Total energy after the MP2020 corrections: -8.446 eV per atom

Lattice parameters (Å, degrees): 4.3508 4.3508 6.5747 109.14 109.14 90.28
Positions (direct):
Y  0.1226  0.8774  0.7500
O  0.9456  0.6709  0.3477
O  0.3291  0.0544  0.1523
Y  0.8774  0.1226  0.2500
O  0.0544  0.3291  0.6523
O  0.6709  0.9456  0.8477

---

YO2 | PBE | optimized geometry

Computed properties:
SG: C2/c
Spin magnetization: 1.0 μB/f.u.
Total energy after the MP2020 corrections: -8.482 eV per atom

Lattice parameters (Å, degrees): 4.2848 4.2848 6.1102 78.25 78.25 101.02
Positions (direct):
Y  0.8617  0.1383  0.2500
O  0.0067  0.3084  0.8476
O  0.9933  0.6916  0.1524
Y  0.1383  0.8617  0.7500
O  0.6916  0.9933  0.6524
O  0.3084  0.0067  0.3476

---

Question: Among the records above, which one has the lowest total energy after the MP2020 corrections?
Answer: number 1
~~~
**Here the text continues:**

As a Ukrainian, Zlotnikova agrees.

“It’s a war between Putin and the rest of the world,” Zlotnikova said. “A lot of Russian people are showing so much sympathy. … Most of them support the idea that this war is totally pointless.” 

In many Russian cities, protestors are also taking to the streets in opposition to Russia’s invasion of Ukraine, leading to hundreds of arrests per day. The unity Zlotnikova brought together on Newbury Street is an echo of the togetherness from Boston to across the Atlantic Ocean and beyond.

Northeastern students also had a significant presence at the march. Ukrainian students led the charge, with other members of the student body showing their support.

“Why would it not matter to you?” said Amelia Carlan, a first-year in the Explore Program. “There are people that are suffering.”

Stefania Bielkina, a junior at Milton Academy, worked on arranging transportation from her school. Bielkina is from Ukraine and wanted to show high schoolers how they could help.

“When I first found the article saying that there would be a march I honestly didn’t think a lot of people would show up, and I was hesitant to organize transportation from Milton Academy to the march,” Bielkina said. Still, she and the two other Ukrainian students at Milton Academy received overwhelming support from their student body.

“Just the solidarity of my peers who weren’t even Ukrainian,” Bielkina said. “I was there with my Dominican friend, and she marched with me the entire time. … It was Dominican Independence Day [Sunday] and, instead, she chose to go with me to the march.”

Even as rallies across the United States and the world rise up in support of Ukraine, the country is still facing an active invasion. Several Ukrainians who spoke with The News said they fear for the safety of their loved ones as the situation abroad changes rapidly, and many are left without ways to communicate.

“A very close family friend, she’s been left in Ukraine,” Bielkina said. “She’s been sending me audio messages of [her son] crying out in fear … it’s just this perpetual fear that my loved ones have been experiencing. The word refugee always felt very far away from me. … When Putin attacked my homeland the word refugee became very close to home.”

Besides rallying as a show of support, Zlotnikova named two donation sites that those that wish to show financial support to Ukraine’s military can donate to. One is a fund for the Ukrainian armed forces by the National Bank of Ukraine. The other is the Return Alive Foundation, which donates to Ukrainian armed forces and veterans. 

Zlotnikova also arranged a drive for medical supplies with the charity Sunflower of Peace, which they shipped to Ukraine March 2.

In the future, Zlotnikova is planning to create a charity event at Northeastern with the proceeds going to Ukrainian charities. She said she wants professors from colleges around Boston to speak on the invasion.

Zlotnikova said that she was grateful for the widespread support from the Northeastern community and all over the world, but she also emphasized the repercussions of the invasion go beyond Ukrainian borders.

“It’s a tragedy for everyone,” Zlotnikova said. “It’s a tragedy for the whole world, really.”

This story was updated March 10 to reflect more interviews with Zlotnikova.